The Basics: Runaways

[Image: Hulu]
When last we left the titular teens, some had powers, some had weapons they’d stolen or built, one of them was Alex, and having learned that their parents were all up to some serious supervillain shenanigans, they ran away from their various homes to try to find a way to fight back against their parents’ organization, known as Pride, and their alien benefactor Jonah.
I know I keep harping on this, but that really didn’t feel like it needed ten episodes to get there. Fortunately, this season, things are moving at a much brisker pace. There are all sorts of mini-arcs throughout the 13 episodes, from Alex’s attempts to get close to his father’s gangster frenemy Darius (or, more accurately, Darius’ niece Livvy); to the arrival of Topher, who might be a kindred spirit but also might be a dangerous interloper; to Alex’s misguided attempts to bring down Pride’s dirty cops; to former actor Frank Dean trying to seize control of the Gibborim church when his wife tries to shut it down upon learning that its alien messiah, Jonah, is a total dick. Enough is happening in season two that they reach a confrontation that felt like it should have been the season one finale at the halfway point.
And while the teens struggle to find a way to escape or defeat their parents (those committed to the idea…), Pride is also a fascinating bunch. The smartest thing this adaptation did was not rush to get through the kids vs. parents
The one odd thing is that everyone is really fast to turn on poor Alex. It’s almost as if the other Runaways read the original comics, think TV Alex has also been a mole for Pride this whole time, and are trying to turn on him first. It’s just weird that he draws so much of their ire. I dunno, maybe I only think that because even in the comics, Alex was always my favourite.
And then there’s Titans

Can I have another season of these goobs? Like, right now?
[Image:DC Universe]
**Data records that have nothing to do with the text:**
┌──
1.
Structure and calculated PXRD pattern of Al3Pd5Au (the PBE geometry in Alexandria; Cu Kα X-rays).
No peak broadening, texture or thermal motion is included.

Atomic structure:
```
data_Al3Pd5Au
_cell_length_a 7.5323
_cell_length_b 7.5323
_cell_length_c 5.5710
_cell_angle_alpha 90.00
_cell_angle_beta 90.00
_cell_angle_gamma 120.00
_symmetry_space_group_name_H-M 'P 63/m c m'
_symmetry_Int_Tables_number 193
_symmetry_space_group_name_Hall '-P 6c 2'
loop_
_atom_site_label
_atom_site_type_symbol
_atom_site_fract_x
_atom_site_fract_y
_atom_site_fract_z
Al1 Al 0.0000 0.3502 0.2500
Pd1 Pd 0.0000 0.3240 0.7500
Pd2 Pd 0.3333 0.6667 0.0000
Au1 Au 0.0000 0.0000 0.0000
```

Main lines, sorted by position (2θ = 10–90°):
2θ = 13.57°, I = 14.8, hkl 1 0 0
2θ = 23.62°, I = 23.3, hkl 1 1 0
2θ = 28.61°, I = 29.4, hkl 1 1 1
2θ = 40.27°, I = 100.0, hkl 1 1 2
2θ = 41.53°, I = 79.8, hkl 3 0 0
2θ = 59.23°, I = 31.6, hkl 2 2 2
2θ = 67.22°, I = 6.4, hkl 0 0 4
2θ = 74.92°, I = 31.2, hkl 4 1 2
2θ = 75.77°, I = 12.9, hkl 3 3 0
2θ = 82.19°, I = 21.6, hkl 3 0 4

***

2.
Structure and calculated PXRD pattern of AlPd14Au (the PBE geometry in Alexandria; Cu Kα X-rays).
No peak broadening, texture or thermal motion is included.

Atomic structure:
```
data_AlPd14Au
_cell_length_a 9.160
_cell_length_b 5.587
_cell_length_c 9.664
_cell_angle_alpha 90.00
_cell_angle_beta 90.00
_cell_angle_gamma 90.00
_symmetry_space_group_name_H-M 'A m m 2'
_symmetry_Int_Tables_number 38
loop_
_symmetry_equiv_pos_as_xyz
'x,y,z'
'-x,-y,z'
'-x,y,z'
'x,-y,z'
'x,y+1/2,z+1/2'
'-x,-y+1/2,z+1/2'
'-x,y+1/2,z+1/2'
'x,-y+1/2,z+1/2'
loop_
_atom_site_label
_atom_site_type_symbol
_atom_site_fract_x
_atom_site_fract_y
_atom_site_fract_z
Al1 Al 0.000 0.000 0.000
Pd1 Pd 0.000 0.248 0.249
Pd2 Pd 0.245 0.000 0.836
Pd3 Pd 0.247 0.246 0.083
Pd4 Pd 0.253 0.000 0.333
Pd5 Pd 0.500 0.000 0.167
Pd6 Pd 0.500 0.000 0.668
Pd7 Pd 0.500 0.249 0.918
Au1 Au 0.000 0.000 0.498
```

Main lines, sorted by position (2θ = 10–90°):
2θ = 37.19°, I = 7.8, hkl 0 2 2
2θ = 38.51°, I = 44.2, hkl 1 2 2
2θ = 39.35°, I = 36.4, hkl 4 0 0
2θ = 42.27°, I = 100.0, hkl 2 0 4
2θ = 48.00°, I = 23.5, hkl 3 2 2
2θ = 63.74°, I = 9.9, hkl 5 2 2
2θ = 67.05°, I = 22.2, hkl 0 4 0
2θ = 73.34°, I = 18.8, hkl 6 0 4
2θ = 80.60°, I = 26.3, hkl 4 4 0
2θ = 82.53°, I = 13.9, hkl 2 4 4

***

3.
Structure and calculated PXRD pattern of Al3PdAu3 (the PBE geometry in Alexandria; Cu Kα X-rays).
No peak broadening, texture or thermal motion is included.

Atomic structure:
```
data_Al3PdAu3
_cell_length_a 7.9764
_cell_length_b 7.9764
_cell_length_c 6.5384
_cell_angle_alpha 90.00
_cell_angle_beta 90.00
_cell_angle_gamma 120.00
_symmetry_space_group_name_H-M 'R 3 m'
_symmetry_Int_Tables_number 160
_symmetry_space_group_name_Hall 'R 3 -2"'
loop_
_atom_site_label
_atom_site_type_symbol
_atom_site_fract_x
_atom_site_fract_y
_atom_site_fract_z
Al1 Al 0.1842 0.3684 0.0000
Pd1 Pd 0.0000 0.0000 0.0955
Au1 Au 0.2076 0.4152 0.4083
```

Main lines, sorted by position (2θ = 10–90°):
└──
Titans has no excuse for being as compelling as it is. Especially since I devoured the entire first season and I still don’t understand why it even exists.
I mean… the Teen Titans, whatever is happening in their comic, have become DC’s most kid-friendly characters, thanks to the various animated series and the really fun Teen Titans GO! To the Movies. My niece loves the Teen Titans, she loves them so much, and I love that she loves them because that’s something we can share (she was correct in her assessment, at age nearly-four, that I do not know much about the Octonauts), and I would be horrified if she saw this show, given the frequent F-bombs and dark tone and Robin fucking curb-stomping a dude in the first episode. This dark, angst-ridden Titans show stars most of the same characters as the goofy, kid-friendly Teen Titans GO! (save for Cyborg, who they instead put into their weirder and superior second offering, Doom Patrol, which I’m only three episodes into but already love to goddamn death), then made the least kid-friendly superhero show I have ever seen. Yet I personally actively enjoyed each episode, and that baffles me.
So I developed a strategy for dealing with my confusion over the show existing. Every time I wonder how this or that moment even came to be, I picture a conversation between the three main executive producers: top DC writer/mastermind Geoff Johns, Arrowverse architect Greg Berlanti, and their weak link, Batman and Robin scribe and harbinger of half-assed franchise movies (who has an Oscar, somehow?) Akiva Goldsman. Examples…
Geoff: I don’t know, can we make a show this dark with characters we normally target towards kids?
Akiva: We can. We have to. It’s vital that they swear and damn near murder criminals.
Geoff: I just… I don’t see how it could work.
Voice: Perhaps I can be of some assistance.
[Swivel chair dramatically turns around]
Geoff and Akiva: Greg Berlanti!
Greg: Let me tell you what we did with a little show called Riverdale.
Akiva: And then they tear into the bad guys, bones breaking, blood everywhere…
Geoff: Dick Grayson is constantly complaining about hating his dark side, but we sure do lean into the fight scenes. Is that a problem?
Greg: It’s fine. Just have him be really conflicted about it later.
Geoff: That works?
Greg: It’s been working for Green Arrow for seven years.
Akiva: Robin should fuck.
Geoff: I have no issues with this. Dick Grayson absolutely fucks.
Greg: I honestly didn’t even think this would be a conversation. He 100% fucks.
Taking a page from the origin of this particular lineup (the moment in the 80s when the Teen Titans stopped being a group of teen sidekicks and became, well, this bunch plus Cyborg), it’s Raven, or rather Rachel Roth, who brings everyone together. There’s something inside of Rachel… a power that is connected to
In Europe, a woman wakes up with no memory, only an ID reading “Kory,” a lot of angry gangsters after her, and to her
A race against a cult trying to summon the powerful demon Trigon, which we understand to be a very bad idea, and their chief henchmen, the Nuclear Family. A typical, happy, 50s suburban family chemically enhanced to be extremely loyal and devastatingly violent, while always talking like they’re in Leave It To Beaver.
Between the Nuclear Family here and the Masters of Disaster turning up on Black Lightning, it’s been a good year for obscure Outsiders villains on TV. I confidently call them “obscure” Outsiders villains, because barely anyone even knows the Outsiders, so they’re all pretty obscure.
The Titans, who might one day even call themselves that, need to figure themselves out to stop Trigon, whether it’s Kory figuring out her past, Dick Grayson determining his future, Rachel confronting her heritage, or Gar coming to terms with the beast within. And it’s… actually a really interesting watch. Did not expect that.
Between two parts of the entry: materials data:
1.
Theoretical PXRD pattern
Compound: La2Nb2N2O5
Radiation: Cu Kα, 1.54184 Å
Structure: a cell relaxed with GGA-PBE

Main lines, low angle first (5° ≤ 2θ ≤ 70°):
2θ/deg	intensity
26.2	45
27.4	26
28.9	100
30.6	29
31.3	44
31.8	74
41.3	27
45.2	29
56.0	20
56.1	20

Atomic structure:
```
La2Nb2N2O5
1.0
5.712 0.000 0.000
-0.017 8.027 0.000
-0.008 -2.006 13.614
La Nb N O
8 8 8 20
direct
0.000 0.000 0.000
0.009 0.495 0.973
0.021 0.380 0.486
0.088 0.855 0.449
0.495 0.444 0.756
0.508 0.942 0.785
0.527 0.071 0.267
0.585 0.578 0.309
0.006 0.192 0.763
0.026 0.783 0.194
0.038 0.310 0.199
0.498 0.254 0.000
0.499 0.739 0.995
0.530 0.120 0.552
0.535 0.644 0.550
0.990 0.690 0.759
0.192 0.283 0.058
0.198 0.750 0.062
0.306 0.591 0.448
0.436 0.900 0.576
0.566 0.494 0.982
0.696 0.696 0.699
0.798 0.633 0.464
0.940 0.546 0.181
0.071 0.946 0.767
0.090 0.051 0.183
0.198 0.595 0.657
0.199 0.221 0.653
0.278 0.252 0.855
0.293 0.806 0.285
0.296 0.679 0.860
0.323 0.340 0.267
0.332 0.129 0.436
0.425 0.993 0.960
0.594 0.392 0.579
0.693 0.155 0.699
0.703 0.215 0.106
0.712 0.838 0.102
0.790 0.179 0.893
0.797 0.768 0.897
0.802 0.855 0.303
0.821 0.305 0.313
0.824 0.095 0.490
0.923 0.446 0.792
```



2.
Theoretical PXRD pattern
Compound: VCuS4
Radiation: Cu Kα, 1.54184 Å
Structure: a cell relaxed with GGA-PBE

Main lines, low angle first (5° ≤ 2θ ≤ 70°):
2θ/deg	intensity
16.2	36
25.5	55
26.1	70
30.6	40
31.1	84
31.6	29
37.3	47
48.6	36
52.3	27
53.7	100

Atomic structure:
```
VCuS4
1.0
-3.335 3.496 4.822
3.335 -3.496 4.822
3.335 3.496 -4.822
V Cu S
2 2 8
direct
0.500 0.000 0.000
0.500 0.500 0.500
0.128 0.378 0.750
0.872 0.622 0.250
0.263 0.246 0.016
0.263 0.247 0.484
0.263 0.779 0.016
0.270 0.754 0.516
0.730 0.246 0.484
0.737 0.221 0.984
0.737 0.753 0.516
0.737 0.754 0.984
```



3.
Theoretical PXRD pattern
Compound: NaMg2S3O12
Radiation: Cu Kα, 1.54184 Å
Structure: a cell relaxed with GGA-PBE

Main lines, low angle first (5° ≤ 2θ ≤ 70°):
2θ/deg	intensity
23.7	100
25.0	4
28.5	5
31.5	22
31.7	11
35.8	8
41.6	6
45.3	5
48.4	13
56.0	4

Atomic structure:
```
NaMg2S3O12
1.0
7.532 -4.338 0.000
7.532 4.338 0.000
-5.022 0.000 7.512
Na Mg S O
2 4 6 24
direct
0.000 0.500 0.000
0.500 0.000 0.500
0.149 0.651 0.448
0.349 0.851 0.052
0.651 0.149 0.948
0.851 0.349 0.552
0.048 0.952 0.250
0.248 0.459 0.751
0.459 0.248 0.251
0.541 0.752 0.749
0.752 0.541 0.249
0.952 0.048 0.750
0.015 0.106 0.413
0.074 0.772 0.257
0.083 0.432 0.734
0.106 0.015 0.913
0.216 0.493 0.592
0.228 0.926 0.243
0.281 0.616 0.915
0.282 0.411 0.264
0.384 0.719 0.585
0.411 0.282 0.764
0.432 0.083 0.234
0.493 0.216 0.092
0.507 0.784 0.908
0.568 0.917 0.766
0.589 0.718 0.236
0.616 0.281 0.415
0.718 0.589 0.736
0.719 0.384 0.085
0.772 0.074 0.757
0.784 0.507 0.408
0.894 0.985 0.087
0.917 0.568 0.266
0.926 0.228 0.743
0.985 0.894 0.587
```



4.
Theoretical PXRD pattern
Compound: NaAuC2
Radiation: Cu Kα, 1.54184 Å
Structure: a cell relaxed with GGA-PBE

Main lines, low angle first (5° ≤ 2θ ≤ 70°):
2θ/deg	intensity
16.9	48
23.3	78
29.0	100
I mentioned the fight scenes a couple of times before, and they are pretty damn slick. The fight
Dick Grayson’s constant grousing about Batman, and what he became as Robin wears a little thin, and I don’t understand why Gar/Beast Boy can only turn into a tiger (even Legends of Tomorrow could afford multiple CG animals), but overall? This show works. The characters are weirdly compelling. Gar might not yet be living up to the claims of his intro rap from TTG!ttM (Beast Boy can change straight up to any animal. Animal? Animal! Yes any animal), but he has all the awkward charm he needs, and gave us our first glimpse of the Doom Patrol (albeit with a different Chief, but that’s another blog).
I don’t… I do not understand why it happened, why they thought their most kid-targeted franchise needed the least kid-friendly adaptation possible, but I really dug it.
So… let’s meet our kid heroes.